Record 1
Here is crystalline Hg3As at its relaxed geometry from the Materials Project database. Energies are from GGA-PBE.

a = 6.047 Å, b = 6.047 Å, c = 6.047 Å
α = 139.22°, β = 139.22°, γ = 59.05°
Fractional positions:
Hg 0.500 0.500 0.000
Hg 0.250 0.750 0.500
Hg 0.750 0.250 0.500
As 0.000 0.000 0.000

Its symmetry is I4/mmm, No. 139.

***

Record 2
Here is crystalline Ba4Cu2Si21 at its relaxed geometry from the Materials Project database. Energies are from GGA-PBE.

a = 10.407 Å, b = 10.407 Å, c = 10.372 Å
α = 90.00°, β = 90.00°, γ = 90.04°
Fractional positions:
Si 0.815 0.317 0.935
Si 0.501 0.310 0.129
Si 0.184 0.316 0.566
Si 0.688 0.501 0.869
Si 0.378 0.000 0.937
Si 0.616 0.000 0.944
Si 0.310 0.501 0.629
Si 0.884 0.807 0.750
Si 0.747 0.001 0.750
Si 0.000 0.378 0.063
Si 0.814 0.123 0.250
Si 0.000 0.378 0.437
Si 0.188 0.124 0.250
Si 0.317 0.815 0.435
Si 0.001 0.747 0.250
Si 0.124 0.188 0.750
Si 0.807 0.884 0.250
Si 0.688 0.501 0.631
Si 0.814 0.684 0.567
Si 0.316 0.184 0.434
Si 0.684 0.814 0.433
Si 0.501 0.310 0.371
Si 0.686 0.185 0.433
Si 0.316 0.184 0.066
Si 0.185 0.686 0.933
Si 0.815 0.317 0.565
Si 0.185 0.686 0.567
Si 0.000 0.616 0.056
Si 0.317 0.815 0.065
Si 0.686 0.185 0.067
Si 0.194 0.882 0.250
Si 0.310 0.501 0.871
Si 0.378 0.000 0.563
Si 0.000 0.616 0.444
Si 0.684 0.814 0.067
Si 0.882 0.194 0.750
Si 0.616 0.000 0.556
Si 0.814 0.684 0.933
Si 0.501 0.688 0.369
Si 0.501 0.688 0.131
Si 0.123 0.814 0.750
Si 0.184 0.316 0.934
Cu 0.500 0.500 0.500
Cu 0.250 0.001 0.750
Cu 0.500 0.500 0.000
Cu 0.001 0.250 0.250
Ba 0.742 0.491 0.250
Ba 0.491 0.742 0.750
Ba 0.010 0.010 0.000
Ba 0.002 0.498 0.750
Ba 0.490 0.259 0.750
Ba 0.010 0.010 0.500
Ba 0.259 0.490 0.250
Ba 0.498 0.002 0.250

Its symmetry is Ama2, No. 40.

***

Record 3
Here is crystalline KLiZn3O4 at its relaxed geometry from the Materials Project database. Energies are from GGA-PBE.

a = 6.097 Å, b = 6.097 Å, c = 8.277 Å
α = 47.72°, β = 47.72°, γ = 32.03°
Fractional positions:
O 0.235 0.235 0.368
O 0.773 0.773 0.630
O 0.404 0.404 0.823
O 0.602 0.602 0.169
Li 0.180 0.180 0.187
Zn 0.377 0.377 0.439
Zn 0.803 0.803 0.839
Zn 0.630 0.630 0.541
K 0.995 0.995 0.004

Its symmetry is Cm, No. 8. The calculation puts the piezoelectric modulus e_max at 0.91 C/m2.

***

DFT formation energy values, unit eV/atom, following the record order: 0.27, -0.14, -1.82.

~~~~~

The following is a DFT calculation (PBE-GGA) of a relaxed structure of B8PH24RhC7.

Computed properties:
formation enthalpy at 0 K	-0.149	eV per atom
total magnetic moment	0.2	μB/f.u.

Cell and atoms, written as extended XYZ:
```
164
Lattice="11.1592 0.0000 0.0000 3.2731 12.1452 0.0000 5.1857 4.0739 12.2519" Properties=species:S:1:pos:R:3 pbc="T T T"
B 3.1916 6.5974 4.0676
B 2.9275 3.9663 5.1104
B 6.2790 10.5532 9.4065
B 5.5668 10.4927 6.6531
B 7.0390 11.8272 8.4114
B 4.1526 5.1129 4.5181
B 3.9410 5.6524 2.8653
B 6.9326 10.1266 7.7975
B 5.1071 2.1646 3.4185
B 6.1902 2.3403 4.8152
B 5.5841 3.0769 2.0270
B 9.4948 12.9761 3.7649
B 11.8698 14.8714 9.3369
B 6.1716 1.4807 2.1017
B 11.7099 13.3170 8.4132
B 12.2884 13.3108 10.0999
B 7.3296 2.9083 2.1521
B 7.9081 2.9020 3.8388
B 13.4464 14.7384 10.1502
B 7.7482 1.3477 2.9151
B 10.1231 3.2430 8.4871
B 14.0339 13.1421 10.2250
B 13.4278 13.8787 7.4368
B 14.5109 14.0544 8.8335
B 12.6854 6.0924 4.4544
B 15.6770 10.5666 9.3867
B 15.4654 11.1061 7.7338
B 12.5790 4.3918 3.8406
B 14.0512 5.7264 5.5988
B 13.3390 5.6659 2.8454
B 16.6905 12.2527 7.1416
B 16.4264 9.6216 8.1844
P 1.8945 2.4785 1.4059
P 7.6488 6.0688 3.8079
P 11.9692 10.1503 8.4441
P 17.7235 13.7406 10.8461
H 4.2983 4.7377 8.9152
H 3.4969 7.7570 4.0637
H 6.4191 8.3666 12.2288
H 5.5077 6.2847 10.9955
H 3.1907 3.0156 5.7810
H 8.2391 15.4486 10.8308
H 6.7890 10.1228 10.4039
H 5.3162 10.0063 5.5912
H 5.4468 12.6026 3.7992
H 8.2760 14.4992 9.3413
H 8.3957 12.1993 10.9964
H 4.1261 8.6358 1.0460
H 4.2107 10.0627 0.0028
H 5.5684 11.6858 2.2789
H 8.0591 12.3862 8.6929
H 7.2021 4.8800 11.9278
H 3.8782 1.9484 3.6174
H 5.2926 5.0587 5.0803

Next, copy the whole of the rows further up without additions.

Record 1
Here is crystalline Hg3As at its relaxed geometry from the Materials Project database. Energies are from GGA-PBE.

a = 6.047 Å, b = 6.047 Å, c = 6.047 Å
α = 139.22°, β = 139.22°, γ = 59.05°
Fractional positions:
Hg 0.500 0.500 0.000
Hg 0.250 0.750 0.500
Hg 0.750 0.250 0.500
As 0.000 0.000 0.000

Its symmetry is I4/mmm, No. 139.

***

Record 2
Here is crystalline Ba4Cu2Si21 at its relaxed geometry from the Materials Project database. Energies are from GGA-PBE.

a = 10.407 Å, b = 10.407 Å, c = 10.372 Å
α = 90.00°, β = 90.00°, γ = 90.04°
Fractional positions:
Si 0.815 0.317 0.935
Si 0.501 0.310 0.129
Si 0.184 0.316 0.566
Si 0.688 0.501 0.869
Si 0.378 0.000 0.937
Si 0.616 0.000 0.944
Si 0.310 0.501 0.629
Si 0.884 0.807 0.750
Si 0.747 0.001 0.750
Si 0.000 0.378 0.063
Si 0.814 0.123 0.250
Si 0.000 0.378 0.437
Si 0.188 0.124 0.250
Si 0.317 0.815 0.435
Si 0.001 0.747 0.250
Si 0.124 0.188 0.750
Si 0.807 0.884 0.250
Si 0.688 0.501 0.631
Si 0.814 0.684 0.567
Si 0.316 0.184 0.434
Si 0.684 0.814 0.433
Si 0.501 0.310 0.371
Si 0.686 0.185 0.433
Si 0.316 0.184 0.066
Si 0.185 0.686 0.933
Si 0.815 0.317 0.565
Si 0.185 0.686 0.567
Si 0.000 0.616 0.056
Si 0.317 0.815 0.065
Si 0.686 0.185 0.067
Si 0.194 0.882 0.250
Si 0.310 0.501 0.871
Si 0.378 0.000 0.563
Si 0.000 0.616 0.444
Si 0.684 0.814 0.067
Si 0.882 0.194 0.750
Si 0.616 0.000 0.556
Si 0.814 0.684 0.933
Si 0.501 0.688 0.369
Si 0.501 0.688 0.131
Si 0.123 0.814 0.750
Si 0.184 0.316 0.934
Cu 0.500 0.500 0.500
Cu 0.250 0.001 0.750
Cu 0.500 0.500 0.000
Cu 0.001 0.250 0.250
Ba 0.742 0.491 0.250
Ba 0.491 0.742 0.750
Ba 0.010 0.010 0.000
Ba 0.002 0.498 0.750
Ba 0.490 0.259 0.750
Ba 0.010 0.010 0.500
Ba 0.259 0.490 0.250
Ba 0.498 0.002 0.250

Its symmetry is Ama2, No. 40.

***

Record 3
Here is crystalline KLiZn3O4 at its relaxed geometry from the Materials Project database. Energies are from GGA-PBE.

a = 6.097 Å, b = 6.097 Å, c = 8.277 Å
α = 47.72°, β = 47.72°, γ = 32.03°
Fractional positions:
O 0.235 0.235 0.368
O 0.773 0.773 0.630
O 0.404 0.404 0.823
O 0.602 0.602 0.169
Li 0.180 0.180 0.187
Zn 0.377 0.377 0.439
Zn 0.803 0.803 0.839
Zn 0.630 0.630 0.541
K 0.995 0.995 0.004

Its symmetry is Cm, No. 8. The calculation puts the piezoelectric modulus e_max at 0.91 C/m2.

***

DFT formation energy values, unit eV/atom, following the record order: 0.27, -0.14, -1.82.

~~~~~

The following is a DFT calculation (PBE-GGA) of a relaxed structure of B8PH24RhC7.

Computed properties:
formation enthalpy at 0 K	-0.149	eV per atom
total magnetic moment	0.2	μB/f.u.

Cell and atoms, written as extended XYZ:
```
164
Lattice="11.1592 0.0000 0.0000 3.2731 12.1452 0.0000 5.1857 4.0739 12.2519" Properties=species:S:1:pos:R:3 pbc="T T T"
B 3.1916 6.5974 4.0676
B 2.9275 3.9663 5.1104
B 6.2790 10.5532 9.4065
B 5.5668 10.4927 6.6531
B 7.0390 11.8272 8.4114
B 4.1526 5.1129 4.5181
B 3.9410 5.6524 2.8653
B 6.9326 10.1266 7.7975
B 5.1071 2.1646 3.4185
B 6.1902 2.3403 4.8152
B 5.5841 3.0769 2.0270
B 9.4948 12.9761 3.7649
B 11.8698 14.8714 9.3369
B 6.1716 1.4807 2.1017
B 11.7099 13.3170 8.4132
B 12.2884 13.3108 10.0999
B 7.3296 2.9083 2.1521
B 7.9081 2.9020 3.8388
B 13.4464 14.7384 10.1502
B 7.7482 1.3477 2.9151
B 10.1231 3.2430 8.4871
B 14.0339 13.1421 10.2250
B 13.4278 13.8787 7.4368
B 14.5109 14.0544 8.8335
B 12.6854 6.0924 4.4544
B 15.6770 10.5666 9.3867
B 15.4654 11.1061 7.7338
B 12.5790 4.3918 3.8406
B 14.0512 5.7264 5.5988
B 13.3390 5.6659 2.8454
B 16.6905 12.2527 7.1416
B 16.4264 9.6216 8.1844
P 1.8945 2.4785 1.4059
P 7.6488 6.0688 3.8079
P 11.9692 10.1503 8.4441
P 17.7235 13.7406 10.8461
H 4.2983 4.7377 8.9152
H 3.4969 7.7570 4.0637
H 6.4191 8.3666 12.2288
H 5.5077 6.2847 10.9955
H 3.1907 3.0156 5.7810
H 8.2391 15.4486 10.8308
H 6.7890 10.1228 10.4039
H 5.3162 10.0063 5.5912
H 5.4468 12.6026 3.7992
H 8.2760 14.4992 9.3413
H 8.3957 12.1993 10.9964
H 4.1261 8.6358 1.0460
H 4.2107 10.0627 0.0028
H 5.5684 11.6858 2.2789
H 8.0591 12.3862 8.6929
H 7.2021 4.8800 11.9278
H 3.8782 1.9484 3.6174
H 5.2926 5.0587 5.0803